- Abeam
- Add-on
- Adjoining rooms
- Aft
- Agent
- Airport access fee
- Airport transfer
- A la carte
- All Inclusive
- All-inclusive package
- Amenities
- Artificial intelligence (AI)
- Artificial intelligence (AI)
- Augmented reality (AR)
- Augmented reality (AR)
- Availability
- Average room rate
- Babymoon
- Baggage Allowance
- Base fare
- Bed and breakfast (B&B)
- Berth
- Biometric Technology
- Biometric Technology
- Blackout dates
- Blockchain
- Blockchain
- Boarding pass
- Boarding pass
- Bulk fare
- Business class
- Cabin
- Cabin Crew
- Cancellation penalty/fee
- Captain
- Carrier
- Carry-on
- Certified Tour Professional (CTP)
- Certified Travel Associate – (CTA)
- Circle trip
- City Guide
- Confirmed Reservation
- Connecting Flight
- Connecting Room
- Conventional Tours
- Corporate agency
- Database
- Deck
- Deposit
- Destination
- Direct Flight
- Domestic Fare
- Double occupancy
- Downgrade
- Duty-free imports
- Early Check-In
- Electronic ticket
- English Breakfast
- Escort
- Excess Baggage
- Exclusive fare
- Family Plan
- FAM Trip
- Fare basis
- First class
- Frequent Flier
- Full house
- Galley
- Gate-Airport
- Geolocation
- Geolocation
- Global Distribution System (GDS)
- Global Distribution System (GDS)
- Greenwich Mean Time (GMT)
- Group tour
- Guide
- Hard-copy
- Honeymoon Travel
- Hostel
- Hub
- Inbound Tour
- Internet of Things (IoT)
- Internet of Things (IoT)
- In Transit
- Itinerary
- Jet Bridge
- Jet lag
- Jump Seat
- Kilometer
- King Room
- Land Arrangements
- Land Destinations
- Land Only
- Land Transfers
- Late Booking Fee
- Layover
- Leisure travel
- Lowest available fare
- Luxury Class
- Maximum stay
- Meet-and-greet service
- Meeting/conference tour
- Minimum connect time
- Mobile App
- Mobile App
- Multi-day tour
- Net Fare
- Net Rate
- Non-Refundable
- Nonstop
- Non-Transferable
- No Show
- Occupancy Rate
What comes next are molecular data, not part of the article =
┌──
(1)
{"formula": "C4H2", "method": "wB97M-V/def2-TZVPD", "charge": 0, "total_energy_ev": -4172.101, "largest_force_ha_per_bohr": 0.020, "orbital_gap_ev": 9.1, "elements": ["C", "C", "C", "C", "H", "H"], "positions_angstrom": [[1.33630, -0.47556, 0.26072], [-1.34276, -0.46038, -0.27398], [0.49809, 0.00520, -0.61623], [-0.49416, -0.01898, 0.61412], [0.40364, 0.50425, -1.56098], [-0.40112, 0.44546, 1.57634]], "forces_ev_per_a": [[-0.78, -0.20, -0.64], [0.79, -0.23, 0.60], [0.61, -0.07, -0.29], [-0.62, -0.07, 0.31], [0.24, 0.29, 0.03], [-0.25, 0.30, -0.01]]}

***

(2)
└──
- Online Booking System
- Online Booking System
- Operator
- Outbound
- Outbound Tour
- Passenger Facility Charge (PFC)
- Passenger Name Record (PNR)
- Passport/Visa Service
- Per Capita Costs
- Point to Point
- Published fare
- Quad
- Query
- Rack rate
- Reconfirm
- Record locator
- Red-eye flight
- Reissue
- Room Occupancy
- Round trip
- Sabre
- Safari
one.
Here is the molecule C2H4INOS from OMol25. Energies are from ωB97M-V/def2-TZVPD.

Each line ends with the Löwdin charge.
Geometry (Å):
1 H -0.7654 -1.2452 0.8253  0.069
2 O 3.1706 -1.2800 -0.2022  -0.725
3 N 1.0937 -0.4071 0.5896  -0.069
4 I 4.3100 0.3838 0.0692  0.881
5 C -0.3380 -0.2648 0.6887  -0.078
6 H -0.6202 0.3485 1.5327  0.081
7 S 1.2325 -2.6267 -0.6957  0.763
8 H -0.7836 0.3630 -0.0966  0.098
9 C 1.7821 -1.2740 -0.0900  -1.080
10 H 1.5922 0.4478 0.7403  0.061

Computed properties:
Frontier orbital gap = 7.234 eV

two.
Here is the molecule C2H4INOS from OMol25. Energies are from ωB97M-V/def2-TZVPD.

Each line ends with the Löwdin charge.
Geometry (Å):
1 I 1.3684 -0.5875 -4.0993  0.317
2 C -0.5693 -0.7565 -1.0698  -0.608
3 H -0.1541 1.6471 1.5378  0.083
4 C 0.3775 0.7474 1.8662  -0.048
5 H -1.1333 -1.5803 -0.6752  0.074
6 H 0.0099 0.4079 2.9142  0.126
7 N -0.1772 0.1029 -0.2479  -0.055
8 S -0.6975 -0.4270 -2.7961  0.251
9 O -0.4027 -0.1652 1.0620  -0.215
10 H 1.3785 0.6113 1.5081  0.074

Computed properties:
Frontier orbital gap = 7.673 eV

three.
Here is a structure of composition C2H4INOS from OMol25. Energies are from ωB97M-V/def2-TZVPD.

Each line ends with the Löwdin charge.
Geometry (Å):
1 H -1.6943 0.2444 1.3270  0.049
2 H -1.9548 -0.5937 -0.1897  0.113
3 C -1.7292 0.4525 0.3034  -0.186
4 I 2.4603 1.7274 -0.2806  0.911
5 O -0.6138 1.0112 -0.3090  -0.199
6 S 2.8974 -1.5048 -0.6612  0.526
7 C 1.3604 -1.0081 -0.2313  -0.840
8 N 1.1476 0.2573 0.0343  -0.546
9 H 0.6442 -1.8262 -0.2476  0.062
10 H -2.5180 1.2401 0.2546  0.111

Computed properties:
Frontier orbital gap (alpha / beta) = 6.284 / 6.283 eV

Most stable: one. Least stable: three.

one.
Here is a cluster of 2 separate species, C4H13N2O2 in total from OMol25. Energies are from ωB97M-V/def2-TZVPD.

Each line ends with the Löwdin charge.
Geometry (Å):
1 H 1.5456 2.1973 -0.5802  0.090
2 C 1.6399 1.0645 -0.3317  -0.496
3 H -1.4050 1.6765 -0.3279  0.100
4 C 0.6708 0.2483 -1.3163  -0.229
5 O 1.5484 -3.3782 0.1660  -0.086
6 H -2.8540 0.8091 0.4638  0.100
7 N -1.0861 1.5844 1.5091  -0.041
8 C -1.7259 0.9063 0.4368  -0.316
9 H -2.0503 -0.9102 -0.8017  0.089
10 H -1.5693 -1.1597 0.8527  0.088
11 H -1.3687 1.4151 2.4762  0.051
12 H -0.0761 1.7410 1.3505  0.035
13 H 1.7519 -2.4384 0.0507  0.015
14 H 0.5264 -1.0572 0.2905  0.085
15 H 2.6262 0.7101 -0.7139  0.062
16 C -1.3281 -0.5591 -0.0224  -0.249
17 O 1.4795 0.8098 0.9689  -0.348
18 H -0.0708 0.8100 -1.8630  0.064
19 N -0.0156 -0.8849 -0.6256  -0.128
20 H 1.1706 -0.2743 -2.2252  0.099
21 H 0.5906 -3.3106 0.2426  0.016

Computed properties:
Total charge = -1
Frontier orbital gap = 7.166 eV

two.
Here is a cluster of 2 separate species, C4H13N2O2 in total from OMol25. Energies are from ωB97M-V/def2-TZVPD.

Each line ends with the Löwdin charge.
Geometry (Å):
1 H 0.5428 -0.0552 2.0402  0.070
2 H -2.2415 2.0790 -1.0093  0.049
3 N -1.4244 2.1554 -1.5803  -0.017
4 H -1.1327 -0.8430 2.4367  0.068
5 H -0.1933 0.9062 -2.7228  0.089
- Saturday Night Stay
- Shoulder season
- Single Room
- Sleeper
- Spa
- Special Fare
- Suite
- Tariff
- Terminal
- Through passenger
- Ticket stock
- Tour
- Tour Guide
- Transfer
- Travel agency
- Travel agent
- Unlimited Mileage
- Unrestricted Fare
- Upgrade
- Value
- Villas
- Virtual reality (VR)
- Virtual reality (VR)
- Visa
- Voucher
- Waitlist
- Waiver
- Yield Management
Exploring the intersection of travel and technology.